Categories: Content Marketing

How to Fail at Content Marketing

We're in a marketing world that's constantly evolving, and content marketing is no different. In this ever-changing world, for every content marketing success, there's a failure first. Learn these content marketing no-no's and be one step closer to a content plan that works.

**What comes next are crystal structures, not part of the page**
=====
(A)
This record from Alexandria describes SmPu2Fe after structural relaxation. The functional is PBE-GGA.

Computed properties:
density = 12.729 Mg/m³
calculated volume = 22.640 A^3/atom

```
SmPu2Fe
1.0
-4.105 -0.961 0.996
-0.978 -3.892 1.632
-0.903 0.345 6.031
Fe Sm Pu
1 1 2
Cartesian
0.000 0.000 0.000
-2.993 -2.254 4.330
-1.649 -1.505 1.172
-4.337 -3.003 7.488
```



(B)
This record from Alexandria describes SmPu2Fe after structural relaxation. The functional is PBE-GGA.

Computed properties:
density = 11.921 Mg/m³
calculated volume = 24.176 A^3/atom

```
SmPu2Fe
1.0
3.335 0.000 0.000
0.000 3.335 0.000
0.000 0.000 8.697
Fe Sm Pu
1 1 2
Cartesian
1.667 1.667 0.000
1.667 1.667 4.348
0.000 0.000 7.065
0.000 0.000 1.632
```



The data favor (B); the next most stable structure lies 392 meV per atom above it.



(A)
This record from Alexandria describes Tb2PuFe after structural relaxation. The functional is PBE-GGA.

Computed properties:
density = 9.876 Mg/m³
calculated volume = 25.964 A^3/atom

```
Tb2PuFe
1.0
3.519 0.000 0.000
1.760 3.048 0.000
1.760 1.016 9.683
Tb Fe Pu
2 1 1
Cartesian
1.760 1.016 3.011
5.279 3.048 6.671
3.519 2.032 4.841
0.000 0.000 0.000
```



(B)
This record from Alexandria describes Tb2PuFe after structural relaxation. The functional is PBE-GGA.

Computed properties:
density = 10.290 Mg/m³
calculated volume = 24.921 A^3/atom

```
Tb2PuFe
1.0
-2.332 -2.460 -0.278
2.261 -1.960 -1.617
2.556 -3.278 7.550
Tb Fe Pu
2 1 1
Cartesian
2.067 -2.650 6.105
0.489 -0.627 1.445
-0.036 -2.210 -0.947
1.242 -3.849 2.827
```



The data favor (B); the next most stable structure lies 167 meV per atom above it.

~~~~~

Hf8PS2 | Alexandria via LeMat-Bulk | GGA-PBE | optimized geometry; final energy = -99.7 eV for the cell shown; size of the total moment = 0.0 μB/f.u.; formation energy without anion corrections = -0.58 eV per atom
1.0
5.9328 -3.2440 0.0000
5.9328 3.2440 0.0000
-1.0640 0.0000 5.8361
Hf P S
8 1 2
Direct
0.1518 0.6532 0.7476
0.1581 0.1581 0.8365
0.3468 0.8482 0.2524
0.3754 0.3754 0.1887
0.6246 0.6246 0.8113
0.6532 0.1518 0.7476
0.8419 0.8419 0.1635
0.8482 0.3468 0.2524
0.0000 0.0000 0.5000
0.2603 0.2603 0.4994
0.7397 0.7397 0.5006

***

Hf4AlCd | Alexandria via LeMat-Bulk | GGA-PBE | optimized geometry; final energy = -45.4 eV for the cell shown; ΔH_f (0 K) = -0.155 eV/atom; size of the total moment = 0.0 μB/f.u.
1.0
3.2180 0.0000 0.0000
0.0000 3.2180 0.0000
0.0000 0.0000 12.2362
Hf Al Cd
4 1 1
Direct
0.0000 0.0000 0.1518
0.0000 0.0000 0.8482
0.5000 0.5000 0.3221
0.5000 0.5000 0.6779
0.5000 0.5000 0.0000
0.0000 0.0000 0.5000

***

AlOsRu2 | Alexandria via LeMat-Bulk | GGA-PBE | optimized geometry; final energy = -33.9 eV for the cell shown; ΔH_f (0 K) = -0.087 eV/atom; size of the total moment = 0.0 μB/f.u.
1.0
-1.9258 1.9258 3.7927
1.9258 -1.9258 3.7927
1.9258 1.9258 -3.7927
Al Os Ru
1 1 2
Direct
0.0000 0.0000 0.0000
0.5000 0.5000 0.0000
0.2500 0.7500 0.5000
0.7500 0.2500 0.5000

***
=====

Blogging for the Sake of Blogging

As Jason Falls often shares, "Don't blog to blog." You may experience pressure to create or update your company blog, but if you don't have a plan and goal around it, the effort is a waste. Before you even start typing, know your goals, audience and schedule so your blog is frequently updated with on-topic, relevant content. If you can't commit to that, don't blog at all.

Running on Your Own Schedule

Sure, that brainchild ebook idea may be smart, but if it's not relevant to your company message, initiatives or offerings, you'll be the only one enjoying it. Work with your entire marketing department, sales, PR, etc. to understand the big events, product launches, campaigns and other initiatives happening for the year, the quarter and the month so your content can be directly tied in. This will also help you create a content calendar and schedule. Then, when you generate leads from your content, the leads have a natural next step.

-- Materials data, as found in the file --
~~~
# 1
Compound: ZrGaSb3
Source: Alexandria
Functional: GGA-PBEsol
Structure: relaxed

Structure (POSCAR):
```
ZrGaSb3
1.0
5.122 0.000 0.000
0.000 5.122 0.000
0.000 0.000 5.122
Zr Ga Sb
1 1 3
direct
0.000 0.000 0.000 Zr
0.500 0.500 0.500 Ga
0.000 0.500 0.500 Sb
0.500 0.000 0.500 Sb
0.500 0.500 0.000 Sb
```

- Symmetry: Pm-3m
- E_tot: -4.58 eV per atom
- Formation energy (no corrections): 643.8 meV per atom



# 2
Compound: KAl4Tl
Source: Alexandria
Functional: GGA-PBEsol
Structure: relaxed

Structure (POSCAR):
```
KAl4Tl
1.0
0.000 4.066 4.066
4.066 0.000 4.066
4.066 4.066 0.000
K Al Tl
1 4 1
direct
0.000 0.000 0.000 K
0.124 0.625 0.625 Al
0.625 0.124 0.625 Al
0.625 0.625 0.124 Al
0.625 0.625 0.625 Al
0.250 0.250 0.250 Tl
```

- E_form: 1.207 eV per formula unit
- Symmetry: F-43m
- E_tot: -3.15 eV per atom



# 3
Compound: MgFePt
Source: Alexandria
Functional: GGA-PBEsol
Structure: relaxed

Structure (POSCAR):
```
MgFePt
1.0
-1.389 1.904 4.097
1.389 -1.904 4.097
1.389 1.904 -4.097
Mg Fe Pt
1 1 1
direct
0.000 0.000 0.000 Mg
0.324 0.324 0.000 Fe
0.670 0.670 0.000 Pt
```

- E_form: -0.605 eV per formula unit
- Symmetry: Imm2
- E_tot: -6.08 eV per atom



# 4
Compound: KBaTe2
Source: Alexandria
Functional: GGA-PBEsol
Structure: relaxed

Structure (POSCAR):
```
KBaTe2
1.0
-4.559 4.559 3.643
4.559 -4.559 3.643
4.559 4.559 -3.643
K Ba Te
2 2 4
direct
0.000 0.000 0.000 K
0.750 0.250 0.500 K
0.250 0.750 0.500 Ba
0.500 0.500 0.000 Ba
0.121 0.125 0.496 Te
0.375 0.879 0.004 Te
0.629 0.625 0.504 Te
0.875 0.371 0.996 Te
```

- Symmetry: I-42d
- E_tot: -3.63 eV per atom
- Formation energy (no corrections): -1048.2 meV per atom



# 5
Compound: CsIrSe2N
Source: Alexandria
Functional: GGA-PBEsol
Structure: relaxed

Structure (POSCAR):
```
CsIrSe2N
1.0
5.446 0.000 0.000
0.000 5.446 0.000
0.000 0.000 3.690
Cs Ir Se N
1 1 2 1
direct
0.000 0.000 0.000 Cs
0.500 0.500 0.500 Ir
0.000 0.500 0.500 Se
0.500 0.000 0.500 Se
0.500 0.500 0.000 N
```

- Symmetry: P4/mmm
- E_tot: -5.29 eV per atom
- Formation energy (no corrections): 104.2 meV per atom
- Relative energy among the computed polymorphs: 0.0 meV per atom



# 6
Compound: LiSO2F
Source: Alexandria
Functional: GGA-PBEsol
Structure: relaxed

Structure (POSCAR):
```
LiSO2F
1.0
4.392 0.000 0.000
0.000 4.392 0.000
0.000 0.000 3.681
Li S O F
1 1 2 1
direct
0.000 0.000 0.000 Li
0.500 0.500 0.000 S
0.000 0.500 0.500 O
0.500 0.000 0.500 O
0.500 0.500 0.500 F
```

- Symmetry: P4/mmm
- E_tot: -3.22 eV per atom
- Formation energy (no corrections): 531.2 meV per atom



# 7
Compound: AgGeBF2
Source: Alexandria
Functional: GGA-PBEsol
Structure: relaxed

Structure (POSCAR):
```
AgGeBF2
1.0
3.667 0.000 0.000
0.000 3.667 0.000
0.000 0.000 4.746
Ag Ge B F
1 1 1 2
direct
0.000 0.000 0.000 Ag
0.500 0.500 0.000 Ge
0.000 0.000 0.500 B
0.000 0.500 0.500 F
0.500 0.000 0.500 F
```

- Symmetry: P4/mmm
- E_tot: -4.04 eV per atom
- Formation energy (no corrections): -216.7 meV per atom



# 8
Compound: ErAlSi
Source: Alexandria
~~~

Related Class: Strategic Blogging: The Why and The How

Forgetting to Triple-Check Your Work

No matter how great the content, if you have typos, the credibility is gone. After all, when's the last time you shared an article riddled with errors? Don't just double-check your work, triple-check it. Make it a top priority. Get an extra set of eyes on your content or hire a dedicated proofreader.

Always Be Closing

The traditional ABCs of sales does not apply to content marketing. Sure, you want your content and work to drive revenue (and if you do it right, it will), but pushing your audience toward a sale is not the right approach in this type of marketing. The right way is Jay Baer's "Always Be Helping" mentality. Solve your audience's business problems with helpful, relevant, non-product-related content, and they'll keep coming back for more. Soon those return visitors will become return customers.

Launching and Then Moving On

**Misplaced records of crystals**
........
# 1
This record from the Alexandria database describes a geometry-optimized Sr2TlTePt structure. The functional is GGA-PBE.

## Properties
DOS(E_F) = 0.667 states/eV per atom
Symmetry = No. 123
Offset from the most stable computed form = 250 meV per atom
Raw formation energy = -0.54 eV/atom

a = 5.8045 Å, b = 5.4001 Å, c = 5.8045 Å
α = 90.00°, β = 90.00°, γ = 90.00°
Fractional coordinates of all 5 atoms:
Sr 0.0000 0.0000 0.5000
Sr 0.5000 0.0000 0.0000
Tl 0.5000 0.5000 0.5000
Te 0.0000 0.5000 0.0000
Pt 0.0000 0.0000 0.0000

=====

# 2
This record from the Alexandria database describes a geometry-optimized Sr2TlTePt structure. The functional is GGA-PBE.

## Properties
DOS(E_F) = 0.519 states/eV per atom
Symmetry = No. 123
Offset from the most stable computed form = 0 meV per atom
Raw formation energy = -0.79 eV/atom

a = 5.8589 Å, b = 5.8589 Å, c = 5.1842 Å
α = 90.00°, β = 90.00°, γ = 90.00°
Fractional coordinates of all 5 atoms:
Sr 0.0000 0.5000 0.0000
Sr 0.5000 0.0000 0.0000
Tl 0.0000 0.0000 0.5000
Te 0.5000 0.5000 0.5000
Pt 0.0000 0.0000 0.0000

=====

# 3
This record from the Alexandria database describes a geometry-optimized SrTePtW2 structure. The functional is GGA-PBE.

## Properties
DOS(E_F) = 0.980 states/eV per atom
Symmetry = No. 123
Raw formation energy = 1.22 eV/atom

a = 4.9100 Å, b = 5.7596 Å, c = 4.9100 Å
α = 90.00°, β = 90.00°, γ = 90.00°
Fractional coordinates of all 5 atoms:
Sr 0.5000 0.5000 0.5000
Te 0.0000 0.5000 0.0000
W 0.0000 0.0000 0.5000
W 0.5000 0.0000 0.0000
Pt 0.0000 0.0000 0.0000

=====

# 4
This record from the Alexandria database describes a geometry-optimized SrZnTe2Pt structure. The functional is GGA-PBE.

## Properties
DOS(E_F) = 1.551 states/eV per atom
Symmetry = No. 123
Raw formation energy = 0.78 eV/atom

a = 6.2514 Å, b = 5.5245 Å, c = 6.2514 Å
α = 90.00°, β = 90.00°, γ = 90.00°
Fractional coordinates of all 5 atoms:
Sr 0.0000 0.0000 0.0000
Zn 0.5000 0.5000 0.5000
Te 0.0000 0.0000 0.5000
Te 0.5000 0.0000 0.0000
Pt 0.0000 0.5000 0.0000

=====

# 5
This record from the Alexandria database describes a geometry-optimized Sr2ZnTePt structure. The functional is GGA-PBE.

## Properties
DOS(E_F) = 0.331 states/eV per atom
Symmetry = No. 123
Raw formation energy = -0.86 eV/atom

a = 5.8073 Å, b = 5.8073 Å, c = 4.8395 Å
α = 90.00°, β = 90.00°, γ = 90.00°
Fractional coordinates of all 5 atoms:
Sr 0.0000 0.5000 0.0000
Sr 0.5000 0.0000 0.0000
Zn 0.0000 0.0000 0.5000
Te 0.5000 0.5000 0.5000
Pt 0.0000 0.0000 0.0000

=====

# 6
This record from the Alexandria database describes a geometry-optimized SrThPt2 structure. The functional is GGA-PBE.

## Properties
Calculated formation energy = -1.005 eV/atom
DOS(E_F) = 0.371 states/eV per atom
Symmetry = No. 160
Offset from the most stable computed form = 38 meV per atom

a = 4.1285 Å, b = 4.1285 Å, c = 7.9159 Å
α = 74.88°, β = 74.88°, γ = 60.00°
Fractional coordinates of all 4 atoms:
Sr 0.4970 0.4970 0.5091
Th 0.6684 0.6684 0.9948
Pt 0.0741 0.0741 0.7776
Pt 0.2605 0.2605 0.2185
........

Oftentimes, after a piece of content goes live we wipe our hands and move onto the next project. This is a huge mistake. This is actually where the work first begins. Once your content goes live, plan a campaign including paid and organic media. Create other types of content around it such as an infographic, SlideShare presentation, blog posts, etc. that all support the initial piece. Ensure the campaign not only has a big push at the beginning, but has support throughout the year. For instance, launch those supporting content pieces weeks or months later. The long-tail effect of that content may be greater than the initial splash.

Set It and Forget It

Let's say you do that big launch and you automate your promotional efforts around your content. Good job, but don't forget that your eyeballs are still crucial in the process. Oftentimes, we launch a campaign and let it ride. But the beauty of social media and big data is the ability to see your results live and in real time. Check the data and feedback around your content every morning and optimize based on your findings. A headline change or responding to a tweet can be the difference between a good campaign and a goal-crushing campaign (or the difference between a prospect and a customer).

Keep these tips in mind when working on your next content marketing campaign and you'll be one step closer to an eventful 2014.

What other mistakes have you learned from? Please share your thoughts here.

If you need to start the process of improving your content marketing strategy today, enroll in Amanda Nelson's Online Marketing Institute class, 10 Advanced Strategies to Mobilize Your Content Marketing, to explore 10 actionable strategies that can be implemented as soon as today to improve your content's impact.